**Listing:**
{
  "formula": "C5H5Cl3F2",
  "method": "the ωB97M-V functional and the def2-TZVPD basis",
  "energy_ha": -1773.7300,
  "homo_ev": [-9.34, -7.77],
  "charge": 0,
  "de_lowest_kcal_mol": 22.80,
  "lumo_energy_ev": [0.1, -1.3],
  "species": ["C", "C", "C", "C", "C", "F", "F", "Cl", "Cl", "Cl", "H", "H", "H", "H", "H"],
  "coordinates": [[-0.128, -0.134, -0.915], [-1.156, -0.708, -0.012], [1.104, 0.632, -0.318], [2.193, -0.111, 0.417], [-1.994, 0.096, 0.895], [1.641, 1.323, -1.393], [0.626, 1.629, 0.481], [-1.333, -2.386, 0.011], [2.388, -1.766, -0.018], [3.660, 0.773, 0.577], [0.273, -0.894, -1.584], [-0.602, 0.649, -1.522], [-2.095, -0.398, 1.860], [-3.005, 0.207, 0.489], [-1.573, 1.086, 1.032]],
  "forces_ev_per_a": [[0.627, 0.216, -0.026], [0.853, 0.430, 0.168], [-1.217, 0.436, -0.634], [0.442, -0.235, -1.002], [-0.280, -0.073, 0.009], [0.185, -0.504, 0.220], [0.134, 0.037, 0.457], [-0.127, -0.641, 0.017], [-0.102, 0.307, 0.346], [-0.412, -0.198, 0.339], [-0.121, 0.066, -0.046], [0.140, -0.040, -0.029], [-0.006, 0.058, 0.116], [-0.125, 0.042, 0.013], [0.009, 0.101, 0.053]],
  "lowdin_charge": [-0.17, -0.73, -0.62, -0.97, -0.12, 0.03, 0.06, 0.70, 0.68, 0.68, 0.09, 0.14, 0.08, 0.09, 0.07]
}

=====

{
  "formula": "C11H17N2",
  "method": "the ωB97M-V functional and the def2-TZVPD basis",
  "energy_ha": -538.6039,
  "homo_ev": -11.40,
  "charge": 1,
  "de_lowest_kcal_mol": 23.05,
  "lumo_energy_ev": -2.9,
  "species": ["C", "C", "C", "C", "C", "C", "C", "C", "C", "N", "H", "H", "H", "H", "H", "H", "H", "H", "H", "C", "C", "N", "H", "H", "H", "H", "H", "H", "H", "H"],
  "coordinates": [[0.809, 1.811, -2.623], [1.119, 0.092, 0.709], [0.371, 0.965, -0.172], [1.129, 1.032, -1.391], [2.181, 0.161, -1.298], [-0.032, 0.795, 2.614], [0.956, -0.008, 2.094], [-0.795, 1.625, 1.765], [-0.530, 1.896, 0.442], [2.149, -0.424, -0.055], [-0.144, 0.868, 3.688], [1.657, -0.546, 2.727], [-1.573, 2.192, 2.286], [-0.980, 2.579, -0.255], [2.949, -0.932, 0.280], [2.869, -0.162, -2.063], [0.907, 2.896, -2.445], [-0.173, 1.719, -3.104], [1.547, 1.619, -3.394], [-1.609, -2.430, -0.002], [-3.055, -2.848, -0.112], [-1.251, -1.267, -0.903], [-1.138, -2.155, 0.941], [-1.116, -3.295, -0.486], [-3.521, -3.228, -1.038], [-3.819, -2.102, 0.051], [-1.916, -0.498, -1.024], [-0.371, -0.844, -0.505], [-1.081, -1.462, -1.894], [-3.190, -3.524, 0.742]],
  "forces_ev_per_a": [[0.205, 1.276, -0.330], [0.486, 0.080, -1.197], [1.935, 1.222, 1.830], [-0.541, -0.610, -1.129], [-1.119, 0.111, 0.248], [0.309, -0.358, -0.457], [-0.149, 0.455, -0.052], [-1.062, 1.621, 0.895], [0.494, -2.789, -0.749], [0.456, -0.315, 0.057], [-0.334, -0.113, -0.073], [-0.177, -0.051, -0.175], [0.284, 0.074, -0.303], [-0.551, 0.582, 0.531], [-0.170, -0.148, 0.351], [0.145, 0.158, 0.147], [-0.054, -0.261, 0.149], [0.021, -0.456, 0.449], [0.089, -0.216, -0.114], [-0.081, -0.662, -2.665], [-1.518, 0.288, 1.287], [0.675, 0.546, -0.678], [-0.705, -0.391, 0.264], [0.562, 0.556, 0.732], [1.448, -0.620, 0.041], [0.212, 1.052, 0.734], [-0.246, -0.065, 1.061], [-0.675, 0.143, -0.553], [0.322, -0.775, 0.247], [-0.261, -0.333, -0.545]],
  "lowdin_charge": [-0.05, -0.24, -0.20, -0.25, -0.04, -0.07, -0.02, -0.09, 0.00, 0.07, 0.11, 0.12, 0.11, 0.11, 0.16, 0.13, 0.09, 0.08, 0.08, -0.17, -0.09, 0.17, 0.13, 0.14, 0.10, 0.07, 0.17, 0.10, 0.17, 0.10]
}

=====

{
  "formula": "C24H44Br2NO5RuSi",
  "method": "the ωB97M-V functional and the def2-TZVPD basis",
  "energy_ha": -6903.6767,
  "homo_ev": [-13.96, -13.96],
  "charge": 2,
  "s_squared": 0.76,
  "spin_multiplicity": 2,
  "lumo_energy_ev": [-8.0, -8.3],
  "species": ["Ru", "C", "O", "C", "C", "O", "C", "C", "O", "C", "H", "H", "H", "H", "H", "H", "H", "H", "H", "H", "H", "H", "H", "H", "C", "C", "C", "C", "Si", "Br", "C", "C", "C", "C", "C", "C", "C", "C", "H", "H", "H", "H", "H", "H", "H", "H", "H", "H", "H", "H", "H", "H", "H", "H", "H", "H", "H", "H", "H", "H", "H", "H", "H", "H", "H", "Br", "C", "C", "N", "C", "C", "C", "C", "O", "O", "H", "H", "H"],

**Exercise:**
The reader should work out how many lines above have the word "the" in them; a number is enough.

**Written answer:**
3